




I'm trying to get started with JAVA/Eclipse/Spring MVC but can't seem to find a "dummies" or "step-by-step" guide for setting everything up and creating the simplest proof-of-concept application.

I found but there seem to be differences between Spring 2.5 and Spring 3 so i'm looking for something for Spring 3.

Also, the tutorial for Spring 2.5 focuses on building the application usign Ant - This i will certainly be doing for releasing but when working within Eclipse i want to have set up the project so that i can use breakpoints/debugging and this is not covered at all.

I've downloaded Eclipse, Tomcat and the Spring 3 Framework but that's about it and within the downloaded Spring Framework documentation it states:

2.3 New getting started tutorial

There is now a new getting started tutorial for developing a basic Spring 3.0 MVC web application. This tutorial is a separate document that can be found at the Spring Documentation page

Between two parts of the text: records of crystals
<<<
# Sm2Ge5Ir3 | the Materials Project | r2SCAN | optimized geometry
# - electronic total energy (eV per atom) = -29.419
# - total moment (μB/f.u.) = 0.0
# - calculated formation energy (eV/atom) = -0.83
data_Sm2Ge5Ir3
_chemical_formula_sum 'Sm8 Ge20 Ir12'
_space_group_name_H-M_alt 'I b a m'
_space_group_IT_number 72
_space_group_name_Hall '-I 2 2c'
_cell_length_a 10.2039
_cell_length_b 11.8287
_cell_length_c 6.0551
_cell_angle_alpha 90.00
_cell_angle_beta 90.00
_cell_angle_gamma 90.00
loop_
_atom_site_label
_atom_site_fract_x
_atom_site_fract_y
_atom_site_fract_z
Sm1 0.2270 0.1325 0.0000
Ge1 0.0000 0.0000 0.2500
Ge2 0.0000 0.2754 0.2500
Ge3 0.1596 0.4000 0.0000
Ir1 0.0000 0.5000 0.2500
Ir2 0.1109 0.1413 0.5000


# SrGe3Ir | the Materials Project | r2SCAN | optimized geometry
# - electronic total energy (eV per atom) = -22.406
# - total moment (μB/f.u.) = 0.0
# - calculated formation energy (eV/atom) = -0.58
data_SrGe3Ir
_chemical_formula_sum 'Sr2 Ge6 Ir2'
_space_group_name_H-M_alt 'I 4 m m'
_space_group_IT_number 107
_space_group_name_Hall 'I 4 -2'
_cell_length_a 4.4795
_cell_length_b 4.4795
_cell_length_c 10.1083
_cell_angle_alpha 90.00
_cell_angle_beta 90.00
_cell_angle_gamma 90.00
loop_
_atom_site_label
_atom_site_fract_x
_atom_site_fract_y
_atom_site_fract_z
Sr1 0.0000 0.0000 0.0000
Ge1 0.0000 0.0000 0.4117
Ge2 0.0000 0.5000 0.2539
Ir1 0.0000 0.0000 0.6496


# TbGe2Ir | the Materials Project | r2SCAN | optimized geometry
# - electronic total energy (eV per atom) = -28.735
# - total moment (μB/f.u.) = 0.0
# - calculated formation energy (eV/atom) = -0.90
data_TbGe2Ir
_chemical_formula_sum 'Tb8 Ge16 Ir8'
_space_group_name_H-M_alt 'I m m m'
_space_group_IT_number 71
_space_group_name_Hall '-I 2 2'
_cell_length_a 4.2707
_cell_length_b 8.8496
_cell_length_c 16.0750
_cell_angle_alpha 90.00
_cell_angle_beta 90.00
_cell_angle_gamma 90.00
loop_
_atom_site_label
_atom_site_fract_x
_atom_site_fract_y
_atom_site_fract_z
Tb1 0.0000 0.0000 0.2057
Tb2 0.0000 0.2381 0.0000
Ge1 0.0000 0.0000 0.4227
Ge2 0.0000 0.3465 0.2010
Ge3 0.0000 0.5000 0.4231
Ir1 0.0000 0.2483 0.3546


# Tb5Ge10Ir4 | the Materials Project | r2SCAN | optimized geometry
# - electronic total energy (eV per atom) = -27.408
# - total moment (μB/f.u.) = 0.0
# - calculated formation energy (eV/atom) = -0.87
data_Tb5Ge10Ir4
_chemical_formula_sum 'Tb10 Ge20 Ir8'
>>>

However, i can't seem to find such a tutorial on the linked page. My main problem at the moment, as seems to be the case for many people trying to get started with Spring, is that i can't seem to get everything set up.

## Crystal structures, kept here for reference
- - -
No. 1
BaNaB5O9 | PBE | relaxed

extended XYZ file:
```
64
Lattice="6.6677 0.0000 0.0000 0.0000 14.1530 0.0000 -2.2290 0.0000 8.2191" Properties=species:S:1:pos:R:3 pbc="T T T"
Ba 0.4420 3.0813 0.5119
Ba -0.6725 3.9952 4.6214
Ba 5.1111 10.1578 3.5977
Ba 3.9966 11.0717 7.7072
Na 2.7248 8.2212 1.1536
Na 1.6103 13.0083 5.2632
Na 2.8284 1.1447 2.9559
Na 1.7139 5.9318 7.0655
B -0.1248 0.7747 2.8648
B -1.2393 6.3018 6.9743
B -0.5302 8.6592 6.4084
B 0.5843 12.5703 2.2989
B -0.3961 0.7967 6.1919
B 0.7184 6.2799 2.0823
B 0.8580 10.5774 7.2718
B 1.9725 10.6522 3.1623
B 1.6410 9.2138 5.3007
B 2.7555 12.0158 1.1911
B 1.6832 2.1373 7.0280
B 2.7977 4.9392 2.9184
B 2.4661 3.5009 5.0568
B 3.5806 3.5756 0.9472
B 3.7203 7.8732 6.1367
B 4.8348 13.3564 2.0272
B 3.8544 1.5827 5.9202
B 4.9689 5.4938 1.8107
B 5.6780 7.8512 1.2448
B 4.5635 13.3783 5.3543
O -1.3580 1.7901 6.2841
O -0.2435 5.2864 2.1746
O 0.3458 7.5523 1.6420
O -0.7687 13.6772 5.7515
O 0.2495 2.0394 3.0711
O -0.8650 5.0371 7.1806
O -0.3277 7.3555 7.0559
O 0.7868 13.8740 2.9464
O 0.2385 8.8431 5.1967
O 1.3530 12.3865 1.0871
O -0.2216 9.7283 7.4390
O 0.8929 11.5012 3.3294
O 0.9114 0.9856 6.4797
O 2.0259 6.0909 2.3702
O 1.5719 3.3268 6.0953
O 2.6864 3.7497 1.9857
O 2.2381 9.5947 3.9984
O 1.1236 11.6348 8.1079
O 3.3151 2.5182 0.1112
O 2.2006 4.5583 4.2207
O 1.7523 10.4033 6.2333
O 2.8668 10.8262 2.1238
O 2.4128 8.0621 5.8489
O 3.5273 13.1674 1.7394
O 3.5457 2.6518 4.8896
O 4.6602 4.4247 0.7801
O 3.0856 1.7665 7.1320
O 4.2001 5.3100 3.0224
O 3.6519 0.2790 5.2727
O 4.7664 6.7975 1.1632
O 5.3037 9.1160 1.0384
O 4.1892 12.1136 5.1480
O 5.2074 0.4758 2.4676
O 4.0929 6.6007 6.5771
O 4.6822 8.8666 6.0445
O 5.7967 12.3630 1.9349
```

Computed properties:
The calculation puts the total DFT energy (no corrections) at -487.97 eV per cell. As for the magnetic moment: 0.00 μB per formula unit.

---

No. 2
BaNaScB2O6 | PBE | relaxed

extended XYZ file:
```
22
Lattice="2.6463 1.5278 11.6296 -2.6463 1.5278 11.6296 0.0000 -3.0557 11.6296" Properties=species:S:1:pos:R:3 pbc="T T T"
Ba 0.0000 0.0000 3.5994
Ba 0.0000 0.0000 31.2893
Na 0.0000 0.0000 13.2346
Na 0.0000 0.0000 21.6542
Sc 0.0000 0.0000 0.0000
Sc 0.0000 0.0000 17.4444
B 0.0000 0.0000 7.0807
B 0.0000 0.0000 10.3199
B 0.0000 0.0000 24.5688
B 0.0000 0.0000 27.8081
O -1.4489 -0.8381 16.1604
O -0.1923 -1.3771 10.3248
O -1.0964 0.8551 10.3248
O 0.0013 -1.6738 18.7284
O -1.4503 0.8358 18.7284
O -1.2887 -0.5220 24.5640
O 1.2887 0.5220 10.3248
O 1.4503 -0.8357 16.1604
O -0.0013 1.6738 16.1604
O 1.0964 -0.8551 24.5640
O 0.1923 1.3771 24.5640
O 1.4489 0.8381 18.7283
```

Computed properties:
The calculation puts the total DFT energy (no corrections) at -166.49 eV per cell. As for the magnetic moment: 0.00 μB per formula unit.

---

For reference, formation enthalpy at 0 K by record: -2.938 -3.159 eV per atom.

----------

# 1
- - -
## Back to the article

I've got a copy of Expert Spring MVC and Web Flow and i've also found this tutorial but i don't know if the setups they describe are still relevant and whether they will allow debugging.

Can anyone please give some direction?


+5  A: 

Get the mvc-basic or the petcare sample apps from the Spring Samples SVN repository. These samples have been updated to Spring 3.0 and are directly importable & runnable with SpringSource Tool Suite.

Pascal Thivent
Also opens/runs no problems in NetBeans as they're maven projects. There's no reason why they shouldn't run out of the box with eclipse either, as I believe eclipse has support for Maven too? Have a look at the mvc-showcase project in particular, the build seems to be broken at the moment but they've been constantly updating it lately.
Brett Ryan
@Brett Eclipse doesn't offer Maven support out-of-the-box, you need to install the m2eclipse plugin (not a big deal but it's just not there in a fresh install). However, SpringSource Tools Suite (STS), which is a distro of Eclipse tailored for Spring development, includes it by default. That's why I mentioned it here.
Pascal Thivent
+2  A: 

These days, I think the easiest way to find out how to set up a spring application is by trying out Spring Roo. It may not be what you finally end up using when coding your project but it shows you exactly how to setup a Spring MVC web app.

Hans Westerbeek

Hi I am also started to learn Spring 3.0 and i am not getting any help means any tutorials. but i find this site and its very help full for start up development. but still i am finding another example so that i come to know more about it if anybody knows some example in spring 3.0 then please provide me.

Thanks Dhrumil Shah

Dhrumil Shah